********
# 1
# PrV2ZnO6
Simulated PXRD pattern, λ = 1.5418 Å (Cu Kα). Input: a cell relaxed with GGA+U.
Kinematic intensities with the Lorentz-polarization factor, no thermal factor.

Most intense lines, 2θ from 10° to 80°, most intense first:
| d [Å] | I (rel.) |
| --- | --- |
| 2.731 | 100 |
| 1.935 | 24 |
| 1.562 | 24 |
| 2.692 | 23 |
| 2.784 | 21 |
| 1.927 | 15 |

Cell and atoms:
```
PrV2ZnO6
1.0
5.3843 0.0000 0.0000
0.0000 5.5687 0.0000
-5.3744 0.0000 7.7085
Pr V Zn O
2 4 2 12
Direct
0.0000 0.1958 0.0000
0.0000 0.8042 0.5000
0.2637 0.2659 0.7523
0.2637 0.7341 0.2523
0.7639 0.2737 0.2503
0.7639 0.7263 0.7503
0.5088 0.2131 0.4998
0.5088 0.7869 0.9998
0.0030 0.4583 0.1987
0.0030 0.5417 0.6987
0.1410 0.2275 0.4998
0.1410 0.7725 0.9998
0.4286 0.2697 0.0022
0.4286 0.7303 0.5022
0.5115 0.0524 0.3068
0.5115 0.9476 0.8068
0.6142 0.4757 0.7998
0.6142 0.5243 0.2998
0.8899 0.0455 0.6968
0.8899 0.9545 0.1968
```

***

# 2
# LiMnSiO4
Simulated PXRD pattern, λ = 1.5418 Å (Cu Kα). Input: a cell relaxed with GGA+U.
Kinematic intensities with the Lorentz-polarization factor, no thermal factor.

Most intense lines, 2θ from 10° to 80°, most intense first:
| d [Å] | I (rel.) |
| --- | --- |
| 5.664 | 100 |
| 4.139 | 81 |
| 3.794 | 60 |
| 2.555 | 52 |
| 2.373 | 36 |
| 2.477 | 28 |

Cell and atoms:
```
LiMnSiO4
1.0
9.4903 0.0000 0.0000
0.0000 7.0583 0.0000
0.0000 0.0000 5.1099
Li Mn Si O
4 4 4 16
Direct
0.1824 0.0307 0.0000
0.3176 0.5307 0.5000
0.6824 0.4693 0.0000
0.8176 0.9693 0.5000
0.1176 0.5244 0.9385
0.3824 0.0244 0.4385
0.6176 0.9756 0.9385
0.8824 0.4756 0.4385
0.0912 0.2391 0.5145
0.4088 0.7391 0.0145
0.5912 0.2609 0.5145
0.9088 0.7609 0.0145
0.0796 0.7925 0.9722
0.0985 0.4584 0.3825
0.1320 0.2652 0.8242
0.1855 0.0743 0.3812
0.3145 0.5743 0.8812
0.3680 0.7652 0.3242
0.4015 0.9584 0.8825
0.4204 0.2925 0.4722
0.5796 0.7075 0.9722
0.5985 0.0416 0.3825
0.6320 0.2348 0.8242
0.6855 0.4257 0.3812
0.8145 0.9257 0.8812
0.8680 0.7348 0.3242
0.9015 0.5416 0.8825
0.9204 0.2075 0.4722
```

=====

Structure and computed PXRD pattern of CuSn2Te2F2 (a DFT-relaxed cell (PBE, OQMD); Cu Kα X-rays).
Peak positions follow from Bragg's law for the DFT cell and can differ from measured ones.

Principal peaks in the range 15 to 90 degrees two-theta, in order of rising 2θ:
2θ/deg, I (rel.)
29.3, 100
31.4, 32
37.0, 36
44.9, 31
45.1, 30
50.6, 15
54.6, 35
65.5, 20
65.6, 9
73.4, 7
77.5, 12
77.8, 8

Atomic structure:
Cell: 4.0245 4.0245 9.3440 Å, 90.00 90.00 90.00°
Space group P-4m2 (No. 115)
One atom of each set of equivalent atoms:
Cu 0.0000 0.0000 0.0000 [1 per cell]
Sn 0.0000 0.5000 0.3383 [2 per cell]
Te 0.0000 0.5000 0.8292 [2 per cell]
F 0.0000 0.0000 0.5000 [1 per cell]
F 0.5000 0.5000 0.5000 [1 per cell]


Structure and computed PXRD pattern of SrCu2Te2F2 (a DFT-relaxed cell (PBE, OQMD); Cu Kα X-rays).
Peak positions follow from Bragg's law for the DFT cell and can differ from measured ones.

Principal peaks in the range 15 to 90 degrees two-theta, in order of rising 2θ:
2θ/deg, I (rel.)
25.6, 57
29.9, 31
34.3, 29
35.4, 19
35.9, 100
38.7, 83
49.2, 39
51.2, 31
62.4, 38
65.6, 19
73.8, 20
85.0, 16

Atomic structure:
Cell: 3.7018 3.7018 10.1695 Å, 90.00 90.00 90.00°
Space group P-4m2 (No. 115)
One atom of each set of equivalent atoms:
Sr 0.0000 0.0000 0.0000 [1 per cell]
Cu 0.0000 0.5000 0.6207 [2 per cell]
Te 0.0000 0.5000 0.2528 [2 per cell]
F 0.0000 0.0000 0.5000 [1 per cell]
F 0.5000 0.5000 0.5000 [1 per cell]


Structure and computed PXRD pattern of Cu2TcF8 (a DFT-relaxed cell (PBE, OQMD); Cu Kα X-rays).
Peak positions follow from Bragg's law for the DFT cell and can differ from measured ones.

Principal peaks in the range 15 to 90 degrees two-theta, in order of rising 2θ:
2θ/deg, I (rel.)
20.7, 16
26.7, 100
32.2, 88
43.8, 10
44.4, 16
50.8, 75
55.1, 21
60.5, 18
62.3, 16
65.3, 21
67.4, 11
78.2, 11

Atomic structure:
Cell: 4.7142 4.7142 10.3297 Å, 90.00 90.00 90.00°
Space group I-4 (No. 82)
One atom of each set of equivalent atoms:
********

Reproduce every line earlier on that contains the word "PrV2ZnO6".

# PrV2ZnO6
PrV2ZnO6